
  • Gramster Gladiator[121]
  • Lawn Gnome Clipper[122]
  • Laceback Bootsnake Skinner[140]
  • OMG That Hurt[143]
  • Clutch Holder[146]
  • Cherry Fluff Victor[149]
  • Kokeshi Doll Trickster[158]
  • Outlaw Pup Blaster[167]
  • Buzz Saw Splitter[170]
  • Goof Course[221]
  • Durem Blockade[224]
  • Hallowed Ground[246]
  • Ranch Hand[250]
  • Barton 3[251]
  • Ninja Trials[252]
  • The Wailing Windmill[253]

How i feel for her



To Do List:

Tick off somebody to the point where they want to hunt me down (purposly or not): Done

Fall in love: Done

Make her blush as much as i can biggrin one

Make somebody laugh their pants off (medaphorically): Done

Get to the age of 16: Almost there

Go to a All-American-Rejects concert: Need to do

Get a Drivers permit: Need to do

Move out: Need to do


View All Comments

Mystical Toothpaste Report | 07/24/2012 1:43 am
Mystical Toothpaste
it's funny how easily you gave up on me. funny s**t man.
Well, thanks for proving forever= bullshit 4laugh
begorocks12 Report | 11/12/2010 1:34 pm
hey i totally forgot about you and gaia burning_eyes im different now D: well..... lets see my changes would be i read manga now, i love to read all together, i found out im amazing at slam poetry, im moving to California an Christmas day, my new friends are awesome sause biggrin &*&* they can drive smile &*&* and im like a god mother now since my friend had the cutest little b*****d evar!! oh duh you know her audrey J. she had a little kid with jason hes cute as hell!..... bad choice of words? idk lifes going good smile hbu ?

User Image
jemm - chan Report | 08/20/2010 12:14 pm
jemm - chan
cool avi
iMusicWhore Report | 08/17/2010 1:56 pm
cool avi
Balla Baby xoxo Report | 08/08/2010 4:03 pm
 Balla Baby xoxo
Hi apkel. im Erica heart
Rawr Mehh Dinosaur Report | 07/28/2010 8:22 am
Rawr Mehh Dinosaur
Heyy Buddy. =]
Mystical Toothpaste Report | 07/10/2010 11:05 pm
Mystical Toothpaste
okay. i still have to see if i can. but i'll try really hard. looks like i have to go to bed on time tomorrow xD just means i'll be up in time to do all my chores
Mystical Toothpaste Report | 07/10/2010 11:03 pm
Mystical Toothpaste
I don't know, anytime you can make it, if i can I'll leave an hour early or something, the only transportation i have is my brothers bike.
Mystical Toothpaste Report | 07/10/2010 10:58 pm
Mystical Toothpaste
Mystical Toothpaste Report | 07/10/2010 10:34 pm
Mystical Toothpaste
Let me know about Monday if you can. thank you.
Mystical Toothpaste
kayla loves you 17
DT Assassin117
Vampire Masquerade
Smart Car x3


Son (Timmeh)

-- Inserted here: records of molecules --
┌──
(1)
Entry from the OMol25 dataset: a 2-piece molecular cluster, C32H46BBrN2O6P overall (ωB97M-V/def2-TZVPD).

Its total energy is -4748.1881 Eh. For the HOMO energy, the calculation gives -4.797 eV. As for the charge: -1. The gap between HOMO and LUMO is 5.58 eV.

Atoms and positions in Å:
1 C 7.919 0.073 1.793
2 C 8.217 -0.551 0.434
3 C 8.688 -1.844 0.450
4 C 9.033 -2.514 -0.702
5 C 8.867 -1.834 -1.885
6 C 8.397 -0.550 -1.909
7 C 8.051 0.144 -0.762
8 C 7.558 1.577 -0.793
9 B 5.976 1.758 -1.225
10 Br 5.648 3.794 -1.119
11 C 4.954 0.988 -0.236
12 C 3.468 1.174 -0.584
13 O 2.690 1.561 0.550
14 C 1.308 1.309 0.377
15 C 0.619 2.689 0.224
16 O -0.671 2.743 0.839
17 C -1.692 2.178 0.129
18 C -2.780 1.762 0.864
19 C -3.888 1.217 0.281
20 C -3.973 1.060 -1.096
21 C -5.207 0.497 -1.832
22 C -5.982 1.756 -2.359
23 C -4.778 -0.285 -3.095
24 C -6.189 -0.258 -0.914
25 C -5.852 -1.732 -0.575
26 C -6.714 -2.079 0.674
27 C -6.311 -2.736 -1.673
28 C -4.393 -1.991 -0.154
29 C -2.870 1.445 -1.827
30 C -1.751 1.994 -1.241
31 P 5.740 1.285 -3.103
32 N 4.523 2.010 -3.804
33 O 5.476 -0.351 -3.234
34 O 7.106 1.694 -3.964
35 H 8.819 0.594 2.148
36 H 7.103 0.793 1.730
37 H 7.672 -0.708 2.519
38 H 8.814 -2.373 1.396
39 H 9.423 -3.527 -0.682
40 H 9.122 -2.347 -2.812
41 H 8.328 -0.073 -2.885
42 H 8.234 2.152 -1.439
43 H 7.688 1.988 0.215
44 H 5.247 -0.073 -0.200
45 H 5.137 1.386 0.774
46 H 3.109 0.226 -1.017
47 H 3.406 1.920 -1.391
48 H 0.951 0.916 1.341
49 H 1.103 0.642 -0.465
50 H 1.252 3.377 0.791
51 H 0.641 3.058 -0.807
52 H -2.756 1.871 1.947
53 H -4.730 0.899 0.889
54 H -5.301 2.549 -2.673
55 H -6.669 1.433 -3.152
56 H -6.619 2.118 -1.540
57 H -5.673 -0.792 -3.481
58 H -4.502 0.424 -3.882
59 H -3.969 -1.000 -2.936
60 H -6.366 0.337 -0.010
61 H -7.159 -0.269 -1.438
62 H -7.780 -2.022 0.406
63 H -6.561 -1.315 1.446
64 H -6.517 -3.099 1.016
65 H -5.446 -2.928 -2.321
66 H -7.162 -2.365 -2.246
67 H -6.512 -3.695 -1.183
68 H -4.246 -1.593 0.857
69 H -3.641 -1.628 -0.856
70 H -4.269 -3.080 -0.053
71 H -2.823 1.338 -2.906
72 H -0.920 2.280 -1.876
73 H 4.864 2.548 -4.597
74 H 6.194 -0.685 -3.795
75 H 6.997 2.601 -4.272
76 C -2.964 0.088 5.469
77 C -2.649 -0.566 4.285
78 C -3.384 -1.671 3.887
79 C -4.432 -2.105 4.681
80 C -4.754 -1.468 5.866
81 C -4.013 -0.365 6.260
82 N -5.227 -3.262 4.243
83 O -4.898 -3.799 3.206
84 O -6.166 -3.604 4.936
85 H -2.392 0.954 5.775
86 H -1.831 -0.213 3.670
87 H -3.137 -2.179 2.966
88 H -5.572 -1.817 6.481
89 H -4.255 0.145 7.183

Atomic partial charges in e from the Mulliken method, atoms 1 to 5: atom 1 (C): -1.69, atom 2 (C): 1.21, atom 3 (C): -0.51, atom 4 (C): -0.61, atom 5 (C): -0.96

---

(2)
Entry from the OMol25 dataset: a 3-piece molecular cluster, C32H46BrFNO9P overall (ωB97M-V/def2-TZVPD).

Its total energy is -4993.9936 Eh. As for the SMILES: CP(C)c1cc(Br)c(CC(=O)F)c2c1C(=O)N(CCc1ccccc1)C2=O.COCCOCCOC.COCCOCCOC. For the HOMO energy, the calculation gives -8.741 eV. The gap between HOMO and LUMO is 8.11 eV.

Atoms and positions in Å:
└──

Daughter (Kayla)

Me (Adam)

Wife (Kai)



_Inserted here: quantum chemistry results_
-- begin --
Formula: C4H4O2
Source: the OMol25 dataset
Level of theory: ωB97M-V/def2-TZVPD

Its relative energy (zero: lowest compared OMol25 entry of this formula, charge and spin) is 601.47 kJ/mol. The strongest force on any atom comes out at 0.0113 Eh/bohr. The LUMO energy is 0.38 eV. The charge is 0. The calculated total energy comes out at -305.050372 Eh.

Each line ends with the Löwdin charge.
Element x y z (Å)
O  -2.437569  -0.480297  -0.000468  0.028
O  -0.064566  -0.931551  -0.250762  -0.054
C  3.021326  0.415770  0.657673  0.113
C  0.518382  0.204115  -0.208638  -0.236
C  -1.459367  0.339557  -0.414814  -0.119
C  1.887959  0.218085  0.278301  -0.096
H  4.025301  0.549031  0.999639  0.027
H  -1.502033  1.235108  0.192557  0.107
H  -2.414509  -1.291865  -0.530070  0.122
H  -1.334974  0.492606  -1.480127  0.109

Cartesian forces (eV/Å) of the 3 atoms listed first:
0.16 -0.16 -0.11
0.22 0.31 -0.01
-0.45 -0.11 -0.14



Formula: C5H13NO
Source: the OMol25 dataset
Level of theory: ωB97M-V/def2-TZVPD

Its relative energy (zero: lowest compared OMol25 entry of this formula, charge and spin) is 236.62 kJ/mol. The strongest force on any atom comes out at 0.0783 Eh/bohr. The LUMO energy is 0.55 eV. As for the SMILES: C=C(N)CCC.O. The charge is 0. The calculated total energy comes out at -328.228722 Eh.

Each line ends with the Löwdin charge.
Element x y z (Å)
O  -4.613665  -0.632459  4.469024  -0.051
N  -0.588837  -0.246855  0.350807  0.069
C  2.040419  1.284019  0.146577  -0.113
C  0.035928  -1.800486  -1.300787  -0.004
C  1.817610  0.720763  -1.320131  -0.246
C  0.385426  0.583030  -1.810749  -0.184
C  -0.338711  -0.515888  -1.002190  -0.384
H  1.424960  2.148632  0.423714  0.063
H  0.315674  0.392914  -2.883431  0.105
H  0.641647  -1.960931  -2.184170  0.053
H  -4.724170  -1.576621  4.305761  0.036
H  -1.139498  -1.028464  0.676591  0.080
H  1.941182  0.512762  0.897755  0.056
H  -4.198552  -0.329961  3.672377  0.015
H  0.030578  -2.486889  -0.451330  0.053
H  2.360122  1.345636  -2.046545  0.102
H  -0.652276  0.599080  0.872900  0.078
H  3.056818  1.661790  -0.031655  0.067
H  2.403401  -0.171867  -1.140903  0.098
H  -0.198051  1.501792  -1.643617  0.107

Cartesian forces (eV/Å) of the 3 atoms listed first:
-0.27 -0.51 0.42
-1.29 -1.53 -0.47
0.11 1.00 -1.95



Formula: C4H10N2
Source: the OMol25 dataset
Level of theory: ωB97M-V/def2-TZVPD

Its relative energy (zero: lowest compared OMol25 entry of this formula, charge and spin) is 241.87 kJ/mol. The strongest force on any atom comes out at 0.0679 Eh/bohr. The LUMO energy is 1.18 eV. As for the SMILES: C=NCCCN. The charge is 0. The calculated total energy comes out at -267.833203 Eh.

Each line ends with the Löwdin charge.
Element x y z (Å)
N  -1.158515  -0.216447  0.943691  -0.066
N  0.481971  -0.648021  -2.107963  -0.040
C  -1.554785  -0.051997  2.134917  -0.041
C  0.875175  0.686943  0.022965  -0.225
C  1.261017  -0.631432  -0.666570  -0.253
C  -0.691180  0.758846  0.042624  -0.302
-- stop --

